Minimize Bias in LORs

How to Minimize Gender and Racial Bias in Letters of Recommendation

-- begin --
The following is a computed X-ray diffraction stick pattern of Np4TlS8. It was derived from DFT lattice parameters and positions (PBE), using Cu Kα, 1.54184 Å.

Structure:
a = 11.616 Å, b = 11.616 Å, c = 11.616 Å
α = 90.00°, β = 90.00°, γ = 90.00°
Space group F-43m (No. 216)
Inequivalent atoms, fractional coordinates:
1 Np 0.123 0.123 0.123 x16
2 Tl 0.000 0.000 0.500 x4
3 S 0.109 0.109 0.891 x16
4 S 0.145 0.145 0.355 x16

Top 10 peaks for 10° ≤ 2θ ≤ 90°, by angle:
d/Å, I (rel.), h k l
6.707, 627, 1 1 1
3.502, 1000, 3 1 1
3.353, 396, 2 2 2
2.904, 402, 4 0 0
2.236, 501, 5 1 1
2.054, 576, 4 4 0
1.964, 160, 5 3 1
1.751, 239, 6 2 2
1.512, 254, 5 5 3
1.186, 179, 8 4 4


The following is a computed X-ray diffraction stick pattern of Ca4ErCd5. It was derived from DFT lattice parameters and positions (PBE), using Cu Kα, 1.54184 Å.

Structure:
a = 3.800 Å, b = 3.800 Å, c = 19.123 Å
α = 90.00°, β = 90.00°, γ = 90.00°
Space group P4/mmm (No. 123)
Inequivalent atoms, fractional coordinates:
1 Ca 0.000 0.000 0.102 x2
2 Ca 0.000 0.000 0.304 x2
3 Er 0.000 0.000 0.500 x1
4 Cd 0.500 0.500 0.000 x1
5 Cd 0.500 0.500 0.203 x2
6 Cd 0.500 0.500 0.407 x2

Top 10 peaks for 10° ≤ 2θ ≤ 90°, by angle:
d/Å, I (rel.), h k l
3.800, 85, 1 0 0
2.696, 1000, 1 0 5
2.687, 505, 1 1 0
1.912, 87, 0 0 10
1.900, 176, 2 0 0
1.558, 169, 1 1 10
1.553, 350, 2 1 5
1.348, 101, 2 0 10
1.209, 64, 1 0 15
1.202, 147, 3 1 0
-- stop --

By Safiya Johnson

This article appears in the Winter 2022 edition (Number 253) of the Journal of College Admission, archived here

Oh, letters of recommendation—the bane of existence for many adults and students every admission cycle.

I have written a dozen letters of recommendation for my former interns and several more for my Class of 2021 seniors as a postsecondary counselor. As the number of letters of recommendation that I had to write grew, the more I relied on templates to introduce my school and a student’s academic record to admission counselors. I also relied on student intake forms, or brag sheets, to quickly get to know my students. (If you’re seeking inspiration for a brag sheet template, see examples A, B, and C. And know that leading a lesson on filling in the brag sheet and providing examples for students can only help improve the quality of brag sheets they submit.)

Thanks to my years of experience as an admission counselor, I felt confident in my ability to discern what makes a strong letter of recommendation and how to write them well. I spent years reading  between the lines to identify warning signs and faint praise.

Unfortunately, I have seen my fair share of letters of recommendation that raised concerns about the learning environment students found themselves in. Letters that hint at racial or gendered bias and barriers within the school. Why did this Black male student have to advocate for years to take Advanced Placement classes? Why is it  this young woman had to advocate to be in a STEM cohort? Why was their ability questioned before they could enroll in a curriculum that is heavily favored by admission counselors?

I am ashamed to admit that although I have led approximately 10 letters of recommendation writing workshops as an admission counselor, none of those sessions explicitly touched on gender or racial bias. I hope to right that wrong  by sharing how writers can check their implicit and explicit biases during the writing process.

But first, what is implicit bias and what patterns have researchers found?

Implicit biases are unconscious stereotypes and assumptions that lead people to favor those who share their same identities (or in-group members). For instance, why do people favor men over women for certain jobs, assume Asians are foreigners, and associate white people with positive adjectives and attributes more quickly than Black people? These associations are the result of socialization in a gendered and racialized world. These lead to real-world discrimination and privilege-hoarding. For instance, who is admitted into programs, hired, and promoted leads to racialized and gendered gaps in wages and educational attainment.

Research on graduate school, academic jobs, and college admission letters of recommendation have found varying degrees of gender and racial bias that impact admission and hiring outcomes for marginalized people. For instance, letters of recommendation are typically several words longer for male applicants. Writers usually use more communal adjectives (i.e., nurturing, kind, warm, polite, helpful) to describe female applicants than agentic adjectives (i.e., competent, independent, ambitious). Additionally, letters for female and racial minority applicants typically use more grindstone adjectives (i.e., hardworking, careful, dedicated, thorough) to describe them, implying they possess less natural ability or talent (i.e., genius, brilliant, talented, capable).

To help writers catch gender bias, some universities and organizations have created gender bias calculators, which you can find here.

However, I argue that the best way to catch instances of gender and racial bias in your writing is to compare the letters that you write for similarly able white male applicants to white female applicants and to male and female minority applicants. Conduct quality control checks before you hit submit.

Additionally, school counselors—who often guide students on when, how, and whom to ask for a letter of recommendation—should lead discussions on gender and racial bias. If and when you invite a university or nonprofit partner to lead a recommendation writing workshop, be sure to ask them how they will discuss gender and racial bias in their workshop. If they will not, develop your own training that touches on these sensitive topics.

According to NACAC’s 2019 State of College Admission report, 54 percent of colleges place considerable or moderate importance on letters of recommendation when making an admission decision. A lot (i.e., program admission and scholarship dollars) is on the line. I can recall several times when I wrote on a reader sheet, “Recs really make this applicant shine” and often referred to phrases within letters of recommendation when making my case in the admission committee for why a student was an excellent fit for our university. From recommendation letters, I could see what a student brought to the classroom and school community.

This was often true for QuestBridge applicants who were first-generation college students from modest financial backgrounds and did not know how to “sell” themselves to an admission committee. They often left out how impressive their strong grades were in the context of their heavy home responsibilities or lack of certain educational amenities that the typical wealthier student has access to, such as Wi-Fi and a personal computer.

Believe me: Your letters can make a big difference in highlighting which applicants are the standout and beloved students in your community.

So how can you check bias in your letters and write a ringing, bias-free endorsement for every applicant, especially marginalized students?

[Attached: calculated crystals]
********
Record 1
# SrTa4Sb
Computed X-ray powder pattern, Cu Kα (λ = 1.5418 Å). Input: the GGA-PBE geometry in Alexandria.
Lines closer than 0.1° are merged.

Largest 12 diffraction maxima, in order of rising 2θ, 10 to 90 degrees two-theta:
Position (°2θ)  I (rel.)
18.89  29
31.09  14
36.63  100
38.32  59
44.54  15
48.78  9
55.31  6
58.98  35
64.81  32
68.18  6
76.81  11
77.87  22

Crystal structure
```
SrTa4Sb
1.0
0.0000 4.0687 4.0687
4.0687 0.0000 4.0687
4.0687 4.0687 0.0000
Sr Ta Sb
1 4 1
Cartesian
0.0000 0.0000 0.0000 Sr
5.1191 3.0182 3.0182 Ta
3.0182 5.1191 3.0182 Ta
3.0182 3.0182 5.1191 Ta
5.1191 5.1191 5.1191 Ta
2.0343 2.0343 2.0343 Sb
```

Record 2
# PmTa4N8
Computed X-ray powder pattern, Cu Kα (λ = 1.5418 Å). Input: the GGA-PBE geometry in Alexandria.
Lines closer than 0.1° are merged.

Largest 12 diffraction maxima, in order of rising 2θ, 10 to 90 degrees two-theta:
Position (°2θ)  I (rel.)
15.82  43
18.05  44
28.17  47
28.60  72
31.95  85
33.53  100
33.78  76
34.41  43
34.64  68
35.97  49
47.27  49
57.95  48

Crystal structure
```
PmTa4N8
1.0
7.3534 -1.5907 0.0000
7.3534 1.5907 0.0000
-6.3681 0.0000 7.4911
Pm Ta N
1 4 8
Cartesian
0.0000 0.0000 0.0000 Pm
-3.8833 0.0000 5.2073 Ta
1.0428 0.0000 3.0732 Ta
5.6004 0.0000 2.7718 Ta
10.6394 0.0000 0.4025 Ta
-0.8619 0.0000 3.7466 N
-2.4890 0.0000 6.6811 N
2.2802 0.0000 1.3659 N
4.0874 0.0000 4.1300 N
2.5259 0.0000 6.4456 N
7.4605 0.0000 1.7534 N
8.9863 0.0000 4.1355 N
12.3622 0.0000 1.4606 N
```

Record 3
# Rb2AgMoBr6
Computed X-ray powder pattern, Cu Kα (λ = 1.5418 Å). Input: the GGA-PBE geometry in Alexandria.
Lines closer than 0.1° are merged.

Largest 12 diffraction maxima, in order of rising 2θ, 10 to 90 degrees two-theta:
Position (°2θ)  I (rel.)
14.06  48
23.18  25
27.03  21
29.15  56
31.22  100
35.27  31
35.89  18
36.82  21
41.96  18
47.39  54
47.70  24
76.12  20

Crystal structure
```
Rb2AgMoBr6
1.0
3.8367 2.2151 13.1931
-3.8367 2.2151 13.1931
0.0000 -4.4302 13.1931
Rb Ag Mo Br
4 2 2 12
Cartesian
0.0000 0.0000 4.8971 Rb
0.0000 0.0000 11.8442 Rb
0.0000 0.0000 27.7350 Rb
0.0000 0.0000 34.6820 Rb
0.0000 0.0000 16.4447 Ag
0.0000 0.0000 23.1344 Ag
0.0000 0.0000 0.0000 Mo
0.0000 0.0000 19.7896 Mo
-1.8768 -1.0836 18.2920 Br
0.0000 -2.3015 14.7280 Br
-1.9932 1.1508 14.7280 Br
-1.9932 -1.1508 24.8512 Br
0.0000 -2.1671 21.2872 Br
-1.8768 1.0836 21.2872 Br
1.8768 -1.0836 18.2919 Br
0.0000 2.1671 18.2919 Br
1.9932 1.1508 14.7280 Br
1.9932 -1.1508 24.8512 Br
0.0000 2.3015 24.8512 Br
1.8768 1.0836 21.2872 Br
```

Record 4
# SbPb3
Computed X-ray powder pattern, Cu Kα (λ = 1.5418 Å). Input: the GGA-PBE geometry in Alexandria.
Lines closer than 0.1° are merged.

Largest 12 diffraction maxima, in order of rising 2θ, 10 to 90 degrees two-theta:
Position (°2θ)  I (rel.)
28.88  20
30.77  13
31.08  48
31.29  100
31.48  49
33.45  82
41.43  19
47.76  13
48.32  12
54.47  13
58.40  20
58.74  15

Crystal structure
```
SbPb3
1.0
6.3675 0.0000 0.0000
0.7018 6.3460 0.0000
0.6727 2.9804 6.1902
Sb Pb
2 6
Cartesian
********

In closing, a recommendation for school-based staff: Discuss racial and ethnic bias every season before students request letters and while your colleagues write and review their own.

Admission counselors: Ask yourself, is this a biased letter? How does this description match (or not match) the others found within the file?

And to all: Always be mindful.

Safiya Johnson is a college and career coach at a South Side Chicago Public Schools high school. Prior to working in urban education, Johnson worked for the University of Chicago (IL) Office of College Admissions as a director of community initiatives and senior assistant director of admissions. Connect with Johnson on Twitter or LinkedIn.